== Assignment ==
What is needed: duplicate everything further down exactly.

== Contents ==
i.
C50H51N6O2P2PdS5 | the ωB97M-V functional and the def2-TZVPD basis

Each line ends with the Löwdin charge.
CARTESIAN COORDINATES (ANGSTROEM)
C  1.63571  -3.40136  2.91957  -0.04
N  1.76931  0.94393  0.35005  -0.41
H  1.28297  6.29702  -2.88645  0.12
H  -5.39600  -3.95377  -6.42986  0.09
C  -4.69559  2.12605  -2.27014  -0.18
C  3.03704  1.65231  0.25275  -0.26
C  -5.71780  -3.86247  -3.11739  -0.01
C  -4.15157  3.25251  -3.15187  -0.38
H  0.27800  -2.91069  1.33656  0.09
H  -3.64109  0.52205  -1.22057  0.09
N  -1.49467  -0.76613  2.61630  0.18
S  -2.52793  2.68536  -3.74962  1.00
H  -6.65494  -2.84022  -5.91412  0.10
C  0.53440  3.23163  -0.63581  -0.34
S  -1.07756  0.46241  -2.43721  0.70
H  2.38453  -0.05670  4.56662  0.11
Pd  -0.90430  -0.32572  -0.04029  0.54
C  4.80651  -1.56253  -2.44571  -0.05
C  3.29515  -1.45791  1.84964  -0.12
C  2.27836  -0.47868  -2.78464  -0.11
C  -3.41543  -2.31539  -3.28148  -0.06
C  -2.79426  -0.88040  3.14027  -0.55
H  1.13952  -0.65808  6.62733  0.13
H  7.46717  4.62817  3.35199  0.07
C  3.94110  -1.47929  -1.36228  -0.10
C  -1.40201  0.56916  4.63953  -0.53
H  7.33560  4.44212  1.56504  0.09
C  -0.75862  -0.10237  5.83002  -0.01
C  -0.62382  -3.33931  -1.30098  -0.37
C  -5.01396  -3.57072  -1.96004  -0.03
H  -5.33350  -3.95812  -1.00429  0.12
C  -6.06576  -3.70643  -5.60719  -0.03
H  2.60118  -3.66670  -1.61485  0.10
C  1.08234  5.44162  -2.25624  -0.05
C  7.05165  4.03752  2.53951  -0.29
H  1.70030  4.00563  -3.72940  0.12
H  -5.23573  2.52270  -1.41271  0.13
H  -1.35544  -0.38767  6.68262  0.12
H  -3.40528  -2.32972  1.82523  0.07
H  -2.50277  -1.73583  -3.34043  0.07
H  -4.54667  -1.84404  3.05440  0.15
H  7.38993  2.99900  2.60610  0.09
N  -3.62306  -1.74216  2.65537  0.22
C  3.70274  -2.17705  2.96162  -0.07
H  -3.01425  4.24751  2.89222  0.12
H  2.64309  3.01491  1.88178  0.10
C  2.87060  -3.15276  3.49863  -0.05
C  4.69767  3.20718  1.24124  -0.42
H  -1.92592  3.23520  0.90751  0.11
O  -3.42073  -3.31979  0.43592  -0.31
H  1.13271  0.13153  2.47601  0.09
H  5.51767  2.63451  0.80561  0.11
H  -6.75023  -4.53833  -5.45669  0.09
N  0.68039  -3.05177  -1.22935  0.06
C  0.60034  5.62330  -0.96932  -0.06
H  3.80971  0.94404  -0.05456  0.11
H  0.98664  -4.16127  3.33261  0.12
C  3.14286  -0.56472  -3.86314  -0.04
H  2.98543  2.40898  -0.53836  0.11
C  -1.93476  3.08510  4.26822  -0.05
C  -3.86874  -2.78907  -2.05313  -0.31
C  -0.34771  2.34141  1.97286  -0.30
H  -0.49911  -6.39706  -2.71316  0.12
C  2.06415  -1.72078  1.24176  -0.36
H  -5.36336  1.46647  -2.82785  0.13
H  -0.34919  2.27425  5.41469  0.16
P  1.47684  -0.75461  -0.17920  1.00
H  -2.14289  -4.76063  -1.88790  0.11
H  1.07682  2.57540  3.58527  0.15
H  -4.01427  4.18016  -2.60076  0.08
C  -0.16318  -5.45646  -2.29847  -0.03
H  1.94530  -5.85759  -2.57421  0.11
H  -0.03772  4.69650  0.84061  0.09
H  1.24180  2.06992  -2.30964  0.06
C  1.04199  3.06181  -1.92827  -0.14
S  -2.99144  -2.38834  -0.60007  0.61
N  -1.45387  -2.32960  -0.81718  -0.23
H  -6.60636  -4.47676  -3.05516  0.13
H  4.67304  -1.99085  3.40333  0.11
H  4.25339  -1.88555  -0.40985  0.10
H  3.65058  1.63913  2.34567  0.11
P  0.25480  1.72310  0.34420  0.92
C  -1.08584  -4.54177  -1.83931  0.00
H  4.42908  4.00868  0.53921  0.12
H  3.18892  -3.72238  4.36108  0.12
C  0.33086  4.52624  -0.16102  -0.08
S  -3.15839  0.18147  4.46336  1.18
C  1.31280  4.15607  -2.73103  -0.05
C  0.58898  0.44741  3.35574  -0.19
O  -3.30165  -0.98179  -0.21405  -0.43
C  -2.44666  1.45341  -2.54542  -1.04
H  0.42958  6.62135  -0.58957  0.12
C  1.23733  -2.69565  1.79208  -0.10
C  -5.29453  -3.39467  -4.35884  -0.24
H  5.78418  -2.00578  -2.31627  0.12
H  3.95637  -0.70339  1.44203  0.09
H  -4.79543  3.44033  -4.00677  0.09
C  3.45157  2.35945  1.54909  -0.22
C  -4.13262  -2.62179  -4.42230  -0.02
H  -2.46776  3.45099  5.13635  0.13
C  2.67544  -0.91904  -1.52079  -0.37
C  4.41153  -1.10358  -3.69224  -0.05
C  -0.86706  2.05971  4.48126  -0.16
C  -1.49901  3.01876  1.88335  -0.11

== Solution ==
i.
C50H51N6O2P2PdS5 | the ωB97M-V functional and the def2-TZVPD basis

Each line ends with the Löwdin charge.
CARTESIAN COORDINATES (ANGSTROEM)
C  1.63571  -3.40136  2.91957  -0.04
N  1.76931  0.94393  0.35005  -0.41
H  1.28297  6.29702  -2.88645  0.12
H  -5.39600  -3.95377  -6.42986  0.09
C  -4.69559  2.12605  -2.27014  -0.18
C  3.03704  1.65231  0.25275  -0.26
C  -5.71780  -3.86247  -3.11739  -0.01
C  -4.15157  3.25251  -3.15187  -0.38
H  0.27800  -2.91069  1.33656  0.09
H  -3.64109  0.52205  -1.22057  0.09
N  -1.49467  -0.76613  2.61630  0.18
S  -2.52793  2.68536  -3.74962  1.00
H  -6.65494  -2.84022  -5.91412  0.10
C  0.53440  3.23163  -0.63581  -0.34
S  -1.07756  0.46241  -2.43721  0.70
H  2.38453  -0.05670  4.56662  0.11
Pd  -0.90430  -0.32572  -0.04029  0.54
C  4.80651  -1.56253  -2.44571  -0.05
C  3.29515  -1.45791  1.84964  -0.12
C  2.27836  -0.47868  -2.78464  -0.11
C  -3.41543  -2.31539  -3.28148  -0.06
C  -2.79426  -0.88040  3.14027  -0.55
H  1.13952  -0.65808  6.62733  0.13
H  7.46717  4.62817  3.35199  0.07
C  3.94110  -1.47929  -1.36228  -0.10
C  -1.40201  0.56916  4.63953  -0.53
H  7.33560  4.44212  1.56504  0.09
C  -0.75862  -0.10237  5.83002  -0.01
C  -0.62382  -3.33931  -1.30098  -0.37
C  -5.01396  -3.57072  -1.96004  -0.03
H  -5.33350  -3.95812  -1.00429  0.12
C  -6.06576  -3.70643  -5.60719  -0.03
H  2.60118  -3.66670  -1.61485  0.10
C  1.08234  5.44162  -2.25624  -0.05
C  7.05165  4.03752  2.53951  -0.29
H  1.70030  4.00563  -3.72940  0.12
H  -5.23573  2.52270  -1.41271  0.13
H  -1.35544  -0.38767  6.68262  0.12
H  -3.40528  -2.32972  1.82523  0.07
H  -2.50277  -1.73583  -3.34043  0.07
H  -4.54667  -1.84404  3.05440  0.15
H  7.38993  2.99900  2.60610  0.09
N  -3.62306  -1.74216  2.65537  0.22
C  3.70274  -2.17705  2.96162  -0.07
H  -3.01425  4.24751  2.89222  0.12
H  2.64309  3.01491  1.88178  0.10
C  2.87060  -3.15276  3.49863  -0.05
C  4.69767  3.20718  1.24124  -0.42
H  -1.92592  3.23520  0.90751  0.11
O  -3.42073  -3.31979  0.43592  -0.31
H  1.13271  0.13153  2.47601  0.09
H  5.51767  2.63451  0.80561  0.11
H  -6.75023  -4.53833  -5.45669  0.09
N  0.68039  -3.05177  -1.22935  0.06
C  0.60034  5.62330  -0.96932  -0.06
H  3.80971  0.94404  -0.05456  0.11
H  0.98664  -4.16127  3.33261  0.12
C  3.14286  -0.56472  -3.86314  -0.04
H  2.98543  2.40898  -0.53836  0.11
C  -1.93476  3.08510  4.26822  -0.05
C  -3.86874  -2.78907  -2.05313  -0.31
C  -0.34771  2.34141  1.97286  -0.30
H  -0.49911  -6.39706  -2.71316  0.12
C  2.06415  -1.72078  1.24176  -0.36
H  -5.36336  1.46647  -2.82785  0.13
H  -0.34919  2.27425  5.41469  0.16
P  1.47684  -0.75461  -0.17920  1.00
H  -2.14289  -4.76063  -1.88790  0.11
H  1.07682  2.57540  3.58527  0.15
H  -4.01427  4.18016  -2.60076  0.08
C  -0.16318  -5.45646  -2.29847  -0.03
H  1.94530  -5.85759  -2.57421  0.11
H  -0.03772  4.69650  0.84061  0.09
H  1.24180  2.06992  -2.30964  0.06
C  1.04199  3.06181  -1.92827  -0.14
S  -2.99144  -2.38834  -0.60007  0.61
N  -1.45387  -2.32960  -0.81718  -0.23
H  -6.60636  -4.47676  -3.05516  0.13
H  4.67304  -1.99085  3.40333  0.11
H  4.25339  -1.88555  -0.40985  0.10
H  3.65058  1.63913  2.34567  0.11
P  0.25480  1.72310  0.34420  0.92
C  -1.08584  -4.54177  -1.83931  0.00
H  4.42908  4.00868  0.53921  0.12
H  3.18892  -3.72238  4.36108  0.12
C  0.33086  4.52624  -0.16102  -0.08
S  -3.15839  0.18147  4.46336  1.18
C  1.31280  4.15607  -2.73103  -0.05
C  0.58898  0.44741  3.35574  -0.19
O  -3.30165  -0.98179  -0.21405  -0.43
C  -2.44666  1.45341  -2.54542  -1.04
H  0.42958  6.62135  -0.58957  0.12
C  1.23733  -2.69565  1.79208  -0.10
C  -5.29453  -3.39467  -4.35884  -0.24
H  5.78418  -2.00578  -2.31627  0.12
H  3.95637  -0.70339  1.44203  0.09
H  -4.79543  3.44033  -4.00677  0.09
C  3.45157  2.35945  1.54909  -0.22
C  -4.13262  -2.62179  -4.42230  -0.02
H  -2.46776  3.45099  5.13635  0.13
C  2.67544  -0.91904  -1.52079  -0.37
C  4.41153  -1.10358  -3.69224  -0.05
C  -0.86706  2.05971  4.48126  -0.16
C  -1.49901  3.01876  1.88335  -0.11